Will a uranium recovery stick this time?

Morgan Stanley is tipping a short-term (spot market) uranium price of $US48.50/lb in 2024, with long term contracts far higher.
A fresh wave of optimism is washing across Australian uranium explorers as nuclear power stakes a claim in the drive to decarbonise the world, but a second wave of genuine demand from power utilities is required to make the recovery stick.
There’s a lot in that opening comment which is based on the sharp share price rises by most uranium explorers with stocks such as Deep Yellow, Boss Energy, Elevate Uranium and Lotus Resources up by more than 50% since January.
The first point to consider is that the uranium industry has been here before, tantalising investors with spectacular price rises, such as the three-year boom from 2005 to 2008 when the price rocketed up by more than 400% from US$34 a pound to US$140/lb.
Then, a crisis in Japan dented confidence in nuclear power, after an earthquake and tsunami severely damaged the Fukushima Daiichi power plant and drove the uranium price down to US$17/lb by 2016.
Renewed optimism
The long road back to today’s five-year high price of close to $US35/lb has been aided by the mothballing of uneconomic mines and, more recently, by investment funds buying surplus uranium in the belief that a sustainable recovery is underway, and the price could continue rising.
Morgan Stanley, a leading investment firm, is tipping a short-term (spot market) price of $US48.50/lb in 2024 while long-term contract prices could be significantly higher.
Optimists certainly see a strong case for nuclear power given its zero-carbon credentials and the hope that accidents at power plants, such as Three Mile Island in the US in 1979, Chernobyl in Ukraine (1986), and Fukushima (2011), will not be repeated.
The bull case for uranium is built on a combination of ongoing demand from the world’s 445 currently operating nuclear reactors which supply roughly 10% of the world’s electricity, new reactors as demand for carbon-free electricity grows, the development of new (and smaller) reactors, as well as a lack of investment in new uranium mines.
An example of what the future of nuclear power might look like is the resurrection of the decommissioned Trawsfynydd power plant in Wales, which has been earmarked for the installation of a new generation of small nuclear reactor which will be cheaper and easier to operate.
Challenges remain
Encouraging as the prospect of a nuclear power revival might be, there are hurdles for uranium explorers and potential miners to overcome with the most important being greater acceptance of the nuclear option by governments and the broader community, which has been programmed to believe that nuclear power is dangerous.
The irony of anti-nuclear brainwashing is that it can now be demonstrated that more damage has been done to the environment by burning fossil fuels than has ever been done by nuclear power.
In time, the anti-nuclear activists might even consider an apology for driving public opinion down the carbon pollution blind alley.
Pre-emptive buying
A more immediate issue for the uranium industry is to see the first wave of rising prices upgraded into a long-term higher price.
For that to happen uranium buyers need to be power utilities rather than speculative investment funds such as London-based Yellowcake and the more recently created Sprott Physical Uranium Trust.
Investment fund buying of uranium, and some buying by uranium explorers themselves, has several purposes.
Fund managers obviously believe that a uranium shortage will develop, and they will trouser handsome profits when power generators are forced to buy more fuel.
Explorer/miners are buying uranium for similar speculative position taking, but also to demonstrate to future customers that supply is available even before mining starts and a customer can be confident of getting what it wants.
........
No. 1
Below is a structure of composition C19H32AsN2O8S5SiTi in a non-equilibrium geometry, with properties calculated with the ωB97M-V functional and the def2-TZVPD basis.

Each line ends with the natural charge from an NBO analysis.
Element x y z (Å)
Ti: 0.85881 -0.17571 -1.02486  1.012
S: 5.35031 -1.33066 -1.79831  -0.602
As: 3.37710 -0.73067 -1.66695  0.970
S: 2.03038 -2.12258 -0.50826  -0.448
S: 2.87087 1.12101 -0.58654  -0.516
S: 2.12400 -0.38692 -3.37393  -0.557
C: 0.79174 3.86114 -1.74620  -0.667
C: 0.05761 2.82422 -2.51408  0.446
N: -0.06958 1.55853 -2.18649  -0.478
C: -0.81517 0.96191 -3.17196  0.016
C: -1.16197 1.87298 -4.11072  0.006
N: -0.60687 3.04855 -3.67029  -0.478
C: -1.92101 1.85490 -5.38233  0.771
O: -2.38054 0.68674 -5.78335  -0.664
O: -2.07950 2.88642 -5.99471  -0.607
C: -1.09390 -0.48056 -3.04617  0.814
O: -1.74672 -1.07899 -3.88418  -0.620
O: -0.58486 -0.99913 -1.95637  -0.723
H: 1.20652 3.40685 -0.85323  0.278
H: 0.11838 4.66845 -1.45459  0.228
H: 1.60468 4.27664 -2.34282  0.238
H: -0.68291 3.91388 -4.18171  0.441
H: -2.12029 -0.03723 -5.14221  0.517
C: 1.14788 0.00685 4.89787  -0.631
C: 1.37083 -0.96891 3.74764  0.275
C: 2.68692 -0.67483 3.04395  -0.622
C: 1.31141 -2.41031 4.23426  -0.629
O: 0.38338 -0.78734 2.71803  -0.948
Si: -1.23887 -0.83922 2.67981  2.255
S: -1.79030 0.05438 0.81696  -0.450
O: -1.85128 -0.02383 3.95673  -0.952
C: -3.14495 -0.00792 4.57161  0.278
C: -3.23502 1.31498 5.31014  -0.613
C: -4.24404 -0.10349 3.51786  -0.645
C: -3.22941 -1.18069 5.54147  -0.631
O: -1.87102 -2.33884 2.75576  -0.978
C: -1.94804 -3.45861 1.85159  0.292
C: -1.85015 -4.69848 2.72200  -0.618
C: -0.81154 -3.42669 0.83812  -0.640
C: -3.29553 -3.38537 1.15438  -0.632
H: 2.03066 -0.00885 5.53989  0.204
H: 0.27131 -0.25000 5.49847  0.213
H: 1.01075 1.01991 4.51264  0.225
H: 3.50042 -0.67380 3.77514  0.196
H: 2.64669 0.30211 2.55450  0.234
H: 2.89841 -1.41771 2.27455  0.233
H: 2.09559 -2.58608 4.97661  0.208
H: 1.46828 -3.09346 3.39679  0.217
H: 0.34539 -2.63493 4.69553  0.210
H: -3.13980 2.14361 4.60454  0.218
H: -2.42593 1.39009 6.04044  0.211
H: -4.19236 1.40126 5.83242  0.199
H: -4.13050 0.69019 2.77729  0.228
H: -5.22611 -0.00811 3.98870  0.206
H: -4.20248 -1.06652 2.99994  0.223
H: -2.46569 -1.08336 6.31790  0.207
H: -3.06634 -2.11939 5.00713  0.230
H: -4.21208 -1.21430 6.02249  0.201
H: -0.87865 -4.73441 3.22084  0.213
H: -1.96360 -5.59968 2.11462  0.206
H: -2.63309 -4.68667 3.48451  0.206
H: 0.15464 -3.37776 1.34429  0.219
H: -0.89423 -2.57003 0.16934  0.231
H: -0.83038 -4.33249 0.22603  0.217
H: -4.10334 -3.40545 1.89143  0.202
H: -3.42133 -4.23143 0.47267  0.209
H: -3.36814 -2.46291 0.57353  0.230
O: 0.09965 2.02424 0.97960  -0.540
C: -0.09366 0.99002 0.44854  0.257

Atomic forces in eV per Å
Ti 0.6 -0.3 -0.3
S 0.0 0.0 0.0
As 1.0 -0.1 -0.2
S -0.1 0.4 0.0
S -0.2 -0.2 0.1
S -0.1 0.0 0.3
C 0.0 0.0 -0.1
C 0.0 0.1 0.0
N -0.1 -0.4 -0.2
C 0.0 -0.2 0.3
C 0.0 0.3 -0.2
N 0.1 0.2 -0.1
C 0.1 0.1 0.0
O 0.1 0.0 0.1
O -0.1 -0.1 0.0
........
There is a risk in the pre-emptive buying spree by organisations such as Sprott and Yellowcake and that’s the rather obvious point about surplus uranium being shifted from one secure warehouse to another without much more being consumed by power companies.
In time, the power companies will have to buy more fuel. Additionally, it’s anticipated the decarbonisation drive will foster a surge in nuclear power station construction, especially if new designs can be proved safe and smaller reactors can be more easily constructed.
An alternative view of uranium, and the one miners don’t like was aired earlier this year in the influential Lex column of London’s Financial Times newspaper which noted how the low-carbon factor had restored investor interest in the fuel.
But the flipside of the good news is a big inventory overhang which is slowly being absorbed, though perhaps not fast enough, and that’s before big (and low cost) uranium producers such as Kazakhstan’s national mining business, Kazatomprom, boost output.
Morgan Stanley counters the Lex argument by pointing out that higher prices can be expected in the near term as “commercial inventories are drawn down, investment demand continues, and mine supply remains below 2019 levels”. The bank has uranium at the top of its “commodity thermometer” as the hottest metal.
Uranium explorers to watch
For investors with an interest in uranium there is a smorgasbord of choice that includes:
Up 56% or $0.28 to $0.78 in the year to date is Deep Yellow (ASX: DYL) as interest grows in its portfolio of assets in uranium-friendly Namibia and a plan to become a producer of 5-10Mlb of low-cost uranium a year.
== Between two parts of the page: quantum chemistry results ==
~~~
{"formula": "C30H48O24", "method": "wB97M-V/def2-TZVPD", "e_homo_ev": -9.925, "orbital_gap_ev": 9.88, "smiles": "C[C@H]1COC(=O)O1.C[C@H]1COC(=O)O1.C[C@H]1COC(=O)O1.C[C@H]1COC(=O)O1.C[C@H]1COC(=O)O1.C[C@H]1COC(=O)O1.COC(=O)OC.COC(=O)OC", "lumo_ev": 0.0, "species": ["C", "C", "C", "O", "C", "O", "O", "H", "H", "H", "H", "H", "H", "C", "C", "C", "O", "C", "O", "O", "H", "H", "H", "H", "H", "H", "C", "C", "C", "O", "C", "O", "O", "H", "H", "H", "H", "H", "H", "C", "C", "C", "O", "C", "O", "O", "H", "H", "H", "H", "H", "H", "C", "C", "C", "O", "C", "O", "O", "H", "H", "H", "H", "H", "H", "C", "C", "C", "O", "C", "O", "O", "H", "H", "H", "H", "H", "H", "C", "O", "C", "O", "O", "C", "H", "H", "H", "H", "H", "H", "C", "O", "C", "O", "O", "C", "H", "H", "H", "H", "H", "H"], "xyz": [[4.769, -2.095, 2.888], [4.874, -0.607, 3.278], [5.718, 0.182, 2.220], [4.765, 1.127, 1.690], [3.581, 0.847, 2.123], [2.578, 1.422, 1.783], [3.572, -0.014, 3.109], [5.741, -2.633, 2.855], [4.310, -2.302, 1.919], [4.203, -2.704, 3.569], [5.325, -0.447, 4.218], [6.176, -0.455, 1.437], [6.557, 0.688, 2.625], [-2.858, -4.462, -0.045], [-3.282, -3.559, -1.253], [-3.963, -4.503, -2.225], [-5.248, -4.049, -2.431], [-5.495, -3.035, -1.596], [-6.558, -2.426, -1.506], [-4.358, -2.726, -0.928], [-2.050, -5.171, -0.356], [-3.689, -5.052, 0.324], [-2.474, -3.925, 0.756], [-2.445, -2.931, -1.633], [-4.077, -5.477, -1.802], [-3.399, -4.585, -3.191], [4.268, 3.672, 0.034], [4.323, 4.902, -0.817], [3.198, 5.859, -0.411], [3.869, 6.986, -0.054], [5.181, 6.819, -0.050], [5.994, 7.669, 0.215], [5.480, 5.596, -0.363], [5.136, 3.078, 0.014], [3.437, 3.036, -0.300], [4.040, 3.940, 1.033], [4.269, 4.660, -1.851], [2.616, 5.581, 0.413], [2.545, 6.011, -1.251], [-1.591, -1.931, 4.077], [-0.354, -1.890, 3.053], [0.883, -2.530, 3.604], [1.264, -3.591, 2.816], [0.452, -3.673, 1.874], [0.630, -4.442, 0.955], [-0.562, -2.728, 1.928], [-1.824, -2.910, 4.550], [-2.494, -1.597, 3.516], [-1.485, -1.167, 4.878], [-0.095, -0.939, 2.655], [1.020, -2.713, 4.646], [1.678, -1.823, 3.463], [-2.847, -0.357, 0.886], [-3.339, 0.169, -0.347], [-4.825, 0.179, -0.560], [-5.116, 1.554, -0.405], [-4.115, 2.280, -0.517], [-4.196, 3.476, -0.758], [-3.023, 1.521, -0.507], [-1.754, -0.289, 0.882], [-3.004, -1.439, 0.859], [-3.264, 0.106, 1.734], [-3.008, -0.320, -1.260], [-5.378, -0.363, 0.188], [-5.332, -0.194, -1.400], [0.007, -1.650, -1.181], [1.126, -0.807, -0.450], [2.330, -1.585, 0.101], [3.385, -0.854, -0.447], [2.997, 0.141, -1.095], [3.744, 0.991, -1.564], [1.690, 0.162, -1.240], [-0.853, -1.074, -1.495], [-0.414, -2.386, -0.595], [0.436, -2.197, -1.985], [0.676, -0.221, 0.378], [2.381, -2.587, -0.279], [2.338, -1.618, 1.204], [-0.841, 0.622, -3.677], [-1.723, -0.438, -3.903], [-3.049, -0.235, -4.083], [-3.630, 1.061, -3.817], [-3.810, -1.267, -4.447], [-5.206, -1.203, -4.557], [-0.771, 1.500, -4.303], [0.130, 0.193, -3.717], [-0.960, 0.990, -2.653], [-5.515, -0.356, -5.133], [-5.646, -1.068, -3.589], [-5.593, -2.073, -5.058], [-0.512, 1.990, 2.380], [-0.616, 2.018, 0.937], [0.096, 2.821, 0.130], [0.790, 3.915, 0.665], [0.045, 2.469, -1.148], [0.768, 3.236, -2.095], [0.432, 1.772, 2.814], [-1.335, 1.320, 2.665], [-0.808, 2.898, 2.848], [1.848, 2.943, -2.093], [0.709, 4.240, -1.692], [0.440, 3.079, -3.126]], "forces_ev_per_angstrom": [[0.823, -0.618, 0.127], [0.329, -1.085, -3.077], [-0.462, -0.821, -0.373], [2.390, -0.450, -0.871], [-2.290, 2.102, 0.030], [0.059, -0.559, -0.438], [0.474, -1.684, 1.789], [-0.221, 0.760, 0.046], [0.104, 0.646, -0.114], [-0.485, 0.077, 0.715], [-0.248, 0.153, 1.412], [-0.888, 0.235, 0.070], [0.462, 0.896, 0.677], [0.344, -0.380, -1.849], [0.657, -1.688, 0.990], [2.233, -0.968, -2.044], [-1.561, 1.017, -0.291], [-2.007, 1.649, -0.121], [2.748, -1.590, -0.026], [-1.205, 1.395, 0.940], [-0.627, 0.582, 0.029], [-0.343, -0.020, -0.163], [0.765, 1.222, 1.448], [-0.627, -0.565, 0.073], [0.344, -0.787, 0.224], [-0.691, 0.066, 0.669], [-1.711, -0.656, -1.040], [-0.812, -0.997, 2.529], [-0.070, -1.256, -1.535], [0.125, 3.219, 0.417], [1.304, 2.221, 0.530], [-0.736, -0.431, -0.004], [1.104, -1.413, -1.509], [1.205, -0.582, -0.254], [0.219, 0.121, 0.143], [-0.086, 0.328, 1.110], [0.753, 0.177, -1.039], [-0.871, -1.044, 1.091], [-0.414, 0.492, -0.388], [-0.007, 1.052, -1.216], [-1.803, -1.727, 2.036], [2.472, 2.827, 1.750], [1.748, -0.752, 2.977], [-2.231, -1.334, -5.323], [-1.108, 0.711, 0.358], [0.196, -1.379, -0.653], [0.604, 0.485, -0.572], [0.520, -0.379, 0.304], [0.319, -0.531, -0.459], [-0.380, 1.162, 0.103], [-0.898, -0.796, 0.838], [0.615, 0.790, -0.079], [2.110, -2.362, 0.298], [-1.163, 0.150, -3.486], [-1.288, 0.195, 2.375], [-5.451, -2.419, 0.697], [2.155, 4.557, -2.194], [1.081, -1.554, 1.031], [2.127, 1.339, 0.073], [-0.074, 0.379, 0.270], [-0.398, 0.032, 0.465], [-0.578, 0.500, 1.144], [1.012, -0.408, 0.192], [0.008, -0.126, 0.928], [0.330, -0.191, -1.968], [1.606, 1.982, 0.011], [-3.155, -1.178, 1.778], [-1.410, -0.493, 0.063], [2.913, -3.377, 2.953], [1.413, 5.442, -3.423], [-1.243, -1.371, 0.514], [-0.433, 0.979, -1.712], [0.233, 0.603, -0.329], [-0.499, -1.566, 1.993], [0.427, -0.157, -1.119], [-0.149, -0.587, -0.185], [0.015, -0.644, -0.127], [0.267, 0.264, -0.468], [0.744, 1.322, 1.875], [-3.238, -1.698, -1.710], [-3.469, 8.107, 1.902], [3.534, -7.976, -1.644], [3.586, -0.180, 0.354], [-0.942, 1.165, 0.050], [-1.130, -0.136, -0.827], [0.810, -0.681, -0.048], [-0.231, 0.015, -0.164], [0.066, 0.693, -0.413], [-0.266, -0.180, 0.581], [0.391, -0.600, 0.082], [-1.628, 0.394, -0.420], [0.926, -0.142, -1.211], [3.634, 5.817, 4.021], [-3.942, -6.352, -3.608], [-0.845, -0.919, 1.554], [1.951, 0.557, 0.503], [1.037, -0.692, -0.385], [0.637, -0.303, -0.111], [-0.189, 1.299, -0.199], [-0.770, 0.009, 0.250], [0.014, 0.511, -0.767], [-0.669, 0.091, 0.578]]}
~~~
Confidence in the stock is boosted by its experienced management team.
More than 120% higher since the start of the year is Paladin Energy (ASX: PDN), which was last trading at $0.58.
A survivor from past uranium booms, Paladin is ready to stage a comeback with the restart of its Langer Heinrich mine in Namibia.
As it progresses plans to restart the Honeymoon uranium mine in South Australia, Boss Energy (ASX: BOE) has risen $0.07 (70%) in the year to date to last trade at $0.17.
Honeymoon has a long operating record and will be relatively easy to restart.
Lotus Resources (ASX: LOT) is up $0.075 (58%) in the year to date at $0.21 as it works on the restart of the Kayelekera mine in Malawi with plans to produce 2.5Mlb of uranium per annum.
Formerly Marenica Energy, Elevate Uranium (ASX: EL8) has risen $0.27 (196%) in the year to date and was last trading at $0.40.
Elevate controls the Marenica uranium project in Namibia and an extensive portfolio of uranium tenements in Australia.
Bannerman Energy (ASX: BMN) last traded at $0.18 and is up $0.082 (82%) as it moves towards development of the Etango-8 uranium deposit in Namibia.
After its ASX debut in mid-April, 92 Energy (ASX: 92E) has remained above its $0.20 IPO price and was trading at $0.28 late on Wednesday, as interest grows in its portfolio of uranium projects in Canada’s Saskatchewan Province.
In the long-term, the global decarbonisation theme is likely to ensure interest in uranium is maintained as nuclear power makes a comeback as a zero-carbon source of electricity.
In the short-term, share price influencing events will include a continuation of the rising trend in the spot-market uranium price (and news about long-term contractual prices) as well as the World Nuclear Association symposium to be held next week (8-to-10 September).